Chibi Flan's Foalsitter 2 A new Foalsitter

by Lucky Star Kona-chan

Chapter 7: Cheering up, or at least trying to.

Spike was a little worried when Twilight didn’t come back the day before. Fortunately, Flan came to tell him she was going to spend the night at her place. He planned on visiting later, after he finished sweeping the floor. He missed spending time with Flan, but for now he was just waiting for Twilight to come back.

"....When did Flan get her own house?” he found himself asking nopony in particular, broom temporarily forgotten.

Talk about your delayed reactions.

Spike just shrugged, deciding to get to whole story when he went over to visit. It was then that the doors to the castle swung open with a -bang- and Twilight galloped past him, in the direction to her room, with tears on her eyes.

“That can’t be good,” eyes wide, Spike went after her.

The second she passed the threshold, Twilight locked herself in her room, practically diving atop her bed, sobbing.

‘H-how did this happen?’ She buried her face in her pillow, Flan's reaction continuing to replay itself over and over in her mind. ‘Why did I lose my temper there? Flan… I didn’t think about her at all… what is wrong with me? How could I done that to her… I could’ve handled that situation in a better way…’

She heard knocking at her door, interrupting her internal self-torture,

“Twilight, what happened?”

“Leave me alone Spike!” Twilight cried.

“....If that’s really what you want, I’ll do it Twilight, but if something is wrong, you know that you can talk to me, right?”

“Sorry Spike…”

“Don’t worry, I’ll be cleaning the library if you need me.”

As she heard the sound of footsteps grow fainter and fainter, Twilight finally lifted her face off her pillow.

‘Thank you, Spike,’ Twilight felt a little better knowing that somepony was here for her right now, ‘I’ll let him know what happened after I organize my thoughts. I just hope he won’t be too upset with me.’

Meanwhile, Trixie stood outside Flan’s new room.

She had seen Flan cry and she knew she'd never get used to it. She felt like a stake was being driven through her heart, repeatedly.

And that just made her even angrier at Twilight.

‘How dare that mare make Trixie’s little Flan cry,' it took the blue unicorn a minute or two to wipe the scowl off her face, 'now is not the time for that. Flan needs Trixie.’

Trying to hide her anger behind a determined stare, Trixie knocked on the door. When she got no answer, she tried the knob and, surprisingly, the door was unlocked. Slowly Trixie made her way to the bed side, where she saw the curled up form of her little vampire under the covers.


Flan’s form twitched slightly, slowly crawling out just enough to poke her head out of the covers and look at Trixie.

It was heartbreaking for Trixie to look at that face, the tears coming out of those pure scarlet eyes, the sobbing and just her sad expression in itself. Trixie stared back with a light blush and quivering lips, but not for the reason you would think.

‘S-she’s so cute! I want to hug her so much!’ She then nearly slapped herself, ‘What am I thinking!? I have to cheer her up! But she’s so cute!’

“Ahhh! What is wrong with me!?” Trixie grabbed her head in exasperation, ruffling her mane before settling down.

Flan just stared at her.

Trixie lifted her head to look at Flan for a moment, then adopted a determined stare and quickly darted out of the room...just to come back almost a minute after with her magician outfit on.

‘I hope this works.’ Trixie cleared her throat. “Behold! As the Great and Powerful Trixie attempts the greatest acts ever seeing by pony eyes!”

Trixie proceeded to do a variety of tricks, but due to her nervousness and simple lack of planning, every single one ended up terrible.

While juggling, she tossed one of the balls so high that it bounced on the ceiling and hit her in the head. When she tried a card trick, she shuffled them wrong and all the cards fell on the carpet. Finally, when she tried to spawn flowers on her hat, only for smoke to come out.

With each consecutive failure, her mood was worsened bit by bit; with the last trick failing, she threw her hat to the side, and then sat on her rump looking down in shame. Flan looked at her, sympathetically, and got out from under the covers. Hopping off the bed, she slowly made her way closer to Trixie, which is when she noticed the sobs.

“Flan, I’m sorry,” Trixie said suddenly, “I…I can’t even do this right…” She covered her teary eyes with her hooves. “T…Twilight was right… I don’t have what it takes to take care of you.”

Shortly after, she felt something stroking her head, and looked up to see Flan in front of her with a sad smile. She was the one stroking her mane and also had her hat on the free hand.

The entry is interrupted by records of crystals:
=====
Structure and theoretical X-ray diffraction stick pattern of Li5CuSO2 (the GGA-PBE geometry in the Materials Project; Cu Kα X-rays).

Cell and atoms:
abc: 3.863 3.863 7.750
angles: 90.00 90.00 90.00
Element x y z (fractional)
Li: 0.000 0.000 0.000
Li: 0.000 0.500 0.222
Li: 0.000 0.500 0.778
Li: 0.500 0.000 0.222
Li: 0.500 0.000 0.778
Cu: 0.000 0.000 0.500
S: 0.500 0.500 0.000
O: 0.000 0.000 0.265
O: 0.000 0.000 0.735

Main lines, sorted by position (2θ from 10° to 80°):
| h k l | two_theta | intensity |
| --- | --- | --- |
| 1 0 0 | 23.01 | 45.7 |
| 1 0 1 | 25.77 | 100.0 |
| 1 1 0 | 32.78 | 38.0 |
| 1 1 2 | 40.40 | 25.4 |
| 1 0 3 | 42.08 | 19.3 |
| 2 0 0 | 47.04 | 22.3 |
| 2 1 0 | 52.99 | 10.5 |
| 2 1 1 | 54.41 | 21.8 |
| 1 1 4 | 58.40 | 12.4 |
| 2 0 4 | 68.60 | 11.5 |

* * * * *

The following is a simulated powder X-ray diffraction pattern of Sr2VP3O12. It was derived from a cell relaxed with PBE+U, using Cu Kα (weighted mean of Kα1 and Kα2).
Lines closer than 0.1° are merged.

Cell and atoms:
Cell: 8.2779 8.2779 9.1178 Å, 113.49 113.49 96.81°
Fractional coordinates of all 36 atoms:
Sr 0.0580 0.6542 0.8216
Sr 0.3458 0.9420 0.6784
Sr 0.6542 0.0580 0.3216
Sr 0.9420 0.3458 0.1784
V 0.5000 0.5000 0.0000
V 0.5000 0.5000 0.5000
P 0.1811 0.3009 0.5562
P 0.2996 0.7004 0.2500
P 0.3009 0.1811 0.0562
P 0.6991 0.8189 0.9438
P 0.7004 0.2996 0.7500
P 0.8189 0.6991 0.4438
O 0.0204 0.6963 0.5199
O 0.0965 0.6243 0.1869
O 0.1187 0.2077 0.0337
O 0.2077 0.1187 0.5337
O 0.2577 0.3823 0.4540
O 0.3009 0.4575 0.7679
O 0.3037 0.9796 0.9801
O 0.3519 0.5933 0.0957
O 0.3757 0.9035 0.3131
O 0.3823 0.2577 0.9540
O 0.4067 0.6481 0.4043
O 0.4575 0.3009 0.2679
O 0.5425 0.6991 0.7321
O 0.5933 0.3519 0.5957
O 0.6177 0.7423 0.0460
O 0.6243 0.0965 0.6869
O 0.6481 0.4067 0.9043
O 0.6963 0.0204 0.0199
O 0.6991 0.5425 0.2321
O 0.7423 0.6177 0.5460
O 0.7923 0.8813 0.4663
O 0.8813 0.7923 0.9663
O 0.9035 0.3757 0.8131
O 0.9796 0.3037 0.4801

Largest 10 diffraction maxima, low angle first, 5 to 70 degrees two-theta:
2theta  I/Imax
12.4  40
18.8  35
23.8  47
26.1  100
28.4  83
29.5  26
31.4  87
32.6  42
33.3  39
37.7  27

* * * * *

Record 1
Simulated PXRD pattern
Compound: KCe3Br8
Radiation: Cu Kα (λ = 1.5418 Å)
Structure: DFT lattice parameters and positions (GGA-PBE)

The 10 most intense peaks (10° ≤ 2θ ≤ 90°), sorted by position:
| d [Å] | 2θ (°) | intensity |
| --- | --- | --- |
| 8.166 | 10.83 | 68 |
| 6.918 | 12.80 | 17 |
| 3.107 | 28.73 | 100 |
| 2.511 | 35.75 | 21 |
| 2.334 | 38.57 | 39 |
| 2.082 | 43.47 | 33 |
| 1.895 | 48.02 | 13 |
| 1.730 | 52.94 | 18 |
| 1.458 | 63.86 | 14 |
| 1.330 | 70.83 | 15 |

Cell and atoms:
Unit cell a=9.4759 b=9.4759 c=9.4759 alpha=52.13 beta=52.13 gamma=52.13
Fractional positions:
K 0.0000 0.0000 0.0000
Ce 0.0000 0.0000 0.5000
Ce 0.0000 0.5000 0.0000
Ce 0.5000 0.0000 0.0000
Br 0.2390 0.7377 0.7377
Br 0.2428 0.2428 0.2428
Br 0.2623 0.2623 0.7610
Br 0.2623 0.7610 0.2623
Br 0.7377 0.2390 0.7377
Br 0.7377 0.7377 0.2390
Br 0.7572 0.7572 0.7572
=====
The entry goes on:

“Twixie, Twixie good, don’t cwy?” Flan made the effort of saying that in her current voice.

“Heh heh, you’re adorable Flan, thank you…” Trixie smiled back, “thank you so much…”

**Crystal structures, kept here for reference**
<<<
(1)
Structure and theoretical X-ray powder pattern of Na3TcCl7 (a structure optimized by DFT (GGA-PBE); a wavelength of 1.5418 Å).

Top 10 peaks for 10° ≤ 2θ ≤ 80°, in order of rising 2θ:
hkl	Position (°2θ)	Rel. int.
1 1 0	12.8	100
0 0 1	13.1	27
2 0 0	15.2	39
1 1 -1	18.0	26
1 1 1	18.7	27
2 2 1	29.4	46
2 0 -2	29.7	24
4 2 -1	39.0	15
4 2 1	40.4	15
3 3 1	41.8	25

Cell and atoms:
```
data_Na3TcCl7
_symmetry_space_group_name_H-M 'C 1 m 1'
_symmetry_Int_Tables_number 8
_cell_length_a 11.649
_cell_length_b 8.629
_cell_length_c 6.778
_cell_angle_alpha 90.00
_cell_angle_beta 93.65
_cell_angle_gamma 90.00
loop_
_symmetry_equiv_pos_as_xyz
'x,y,z'
'x,-y,z'
'x+1/2,y+1/2,z'
'x+1/2,-y+1/2,z'
loop_
_atom_site_label
_atom_site_type_symbol
_atom_site_fract_x
_atom_site_fract_y
_atom_site_fract_z
Na1 Na 0.000 0.000 0.000
Na2 Na 0.186 0.268 0.460
Tc1 Tc 0.182 0.500 0.963
Cl1 Cl 0.065 0.304 0.805
Cl2 Cl 0.065 0.500 0.236
Cl3 Cl 0.098 0.000 0.364
Cl4 Cl 0.304 0.307 0.112
Cl5 Cl 0.305 0.500 0.687
```

=====

(2)
Structure and theoretical X-ray powder pattern of Na3TeCl7 (a structure optimized by DFT (GGA-PBE); a wavelength of 1.5418 Å).

Top 10 peaks for 10° ≤ 2θ ≤ 80°, in order of rising 2θ:
hkl	Position (°2θ)	Rel. int.
1 1 0	12.5	100
2 0 0	15.3	50
2 0 -1	16.3	43
1 1 1	20.4	29
0 2 1	24.1	23
2 2 1	31.2	54
4 0 -2	33.2	27
1 3 1	35.1	20
2 2 -3	43.7	23
6 2 -1	48.6	18

Cell and atoms:
```
data_Na3TeCl7
_symmetry_space_group_name_H-M 'C 1 m 1'
_symmetry_Int_Tables_number 8
_cell_length_a 12.407
_cell_length_b 8.929
_cell_length_c 7.018
_cell_angle_alpha 90.00
_cell_angle_beta 110.85
_cell_angle_gamma 90.00
loop_
_symmetry_equiv_pos_as_xyz
'x,y,z'
'x,-y,z'
'x+1/2,y+1/2,z'
'x+1/2,-y+1/2,z'
loop_
_atom_site_label
_atom_site_type_symbol
_atom_site_fract_x
_atom_site_fract_y
_atom_site_fract_z
Na1 Na 0.000 0.000 0.000
Na2 Na 0.374 0.231 0.455
Te1 Te 0.369 0.000 0.947
Cl1 Cl 0.245 0.000 0.190
Cl2 Cl 0.246 0.196 0.726
Cl3 Cl 0.431 0.500 0.599
Cl4 Cl 0.495 0.218 0.184
Cl5 Cl 0.497 0.000 0.735
```

=====

(3)
Structure and theoretical X-ray powder pattern of Na2TeCl5 (a structure optimized by DFT (GGA-PBE); a wavelength of 1.5418 Å).

Top 10 peaks for 10° ≤ 2θ ≤ 80°, in order of rising 2θ:
hkl	Position (°2θ)	Rel. int.
0 1 0	13.0	100
0 0 1	13.2	72
1 0 1	18.5	66
1 1 1	18.7	47
1 -1 0	23.2	24
1 1 2	25.5	42
1 0 2	27.2	28
0 2 2	31.8	33
0 1 -2	32.8	38
-1 2 1	35.4	29

Cell and atoms:
```
data_Na2TeCl5
_symmetry_space_group_name_H-M 'P 1'
_symmetry_Int_Tables_number 1
_cell_length_a 5.520
_cell_length_b 7.325
_cell_length_c 7.458
_cell_angle_alpha 70.42
_cell_angle_beta 69.59
_cell_angle_gamma 75.85
loop_
_symmetry_equiv_pos_as_xyz
'x,y,z'
loop_
_atom_site_label
_atom_site_type_symbol
_atom_site_fract_x
_atom_site_fract_y
_atom_site_fract_z
Na1 Na 0.000 0.000 0.000
Na2 Na 0.460 0.608 0.336
Te1 Te 0.576 0.999 0.540
Cl1 Cl 0.222 0.270 0.629
Cl2 Cl 0.257 0.757 0.713
Cl3 Cl 0.527 0.924 0.005
Cl4 Cl 0.825 0.262 0.255
Cl5 Cl 0.893 0.725 0.382
```

=====

(4)
>>>

Trixie then hugged her little vampire, who took advantage of this and put Trixie’s hat on its rightful place. Flan then rubbed Trixie’s back to make her feel better. This continued for a couple more minutes before they let go of one another, both calmed down.

“Heh, Trixie was supposed to make you feel better, Flan, but you made Trixie feel better instead,” a hint of disappointment could be heard in Trixie’s voice.

But Flan shook her head while smiling. Then wrote something on her chalkboard and showed it to Trixie: “That’s not true. You made me feel better. You just tripped a little here and there. Thank you Trixie.”

Trixie giggled, “Trixie is not that good but thank you, Flan.”

Flan gave her a thumbs up.

Then a round of knocking came to the door.

“Uuu!” Flan said to whoever was on the door.

“Starlight, if that’s you, she said ‘come in’” Trixie translated, perfectly.

Starlight was indeed outside the door, but Rainbow was the one who entered first.

“Wait, Trixie you can understand Flan now?” Rainbow asked in disbelief.

Just now, Trixie noticed that as well, “I…I did understand her… but how?”

Starlight turned to the pony who understood Flan first, “Rainbow Dash, what happened when you were able to understand her for the first time?”

Rainbow went stock still before saying, hurriedly, “I…I don’t remember.”

Seeing as how she was suddenly sweating, Trixie and Starlight stared at her, suspiciously.

But before any weird conclusion would be made, Flan showed the two of them her chalkboard, “We were playing and Rainbow was practicing one of her aerial stunts, then…”

A panicked Rainbow Dash snatched the chalkboard from Flan’s hands and erased what was written with her fetlock.

“Hey! Trixie wanted to read that!” Trixie complained.

Starlight had managed to read the whole thing, but kept silent because apparently that was a big deal for Rainbow. Still she had her muzzle scrunched by the silliness alone.

“Flan! Don’t go telling ponies about that!” Rainbow was flustered.

Flan waved a dismissive hand in her direction, as Trixie kept complaining.

Applejack, after looking for Rainbow the whole morning without success, decided to go to Twilight’s castle in search for Flan. She was a little surprised when she found Twilight and Spike leaving the castle, Spike being with this look of annoyance.

After asking what happened, Spike explained everything and Twilight, recognizing the look in Applejack's eyes, tried to escape...only to be wrapped by a wild rope, tying her up in a way that prevented movement.

Twilight felt a weird sense of déjà vu coming over her.

Midday Ponyville was greeted with a peculiar view: Princess Twilight tied up and being dragged by her friend Applejack.

“Applejack, Spike. Stop this! I’m not ready yet!”

They ignored her.

“Nope, yer not escaping this one Twilight," Applejack shook her head, Spike mimicking the motion from atop her back, "ya’ll going to apologize ta them right now, no excuses."

In her worried state, Twilight forgot she could use magic, but then again, she’s not the brightest pony ever when it comes to stress.